Data:
/*
# 1
# RbFeCu | Alexandria via LeMat-Bulk | GGA-PBE | relaxed
data_RbFeCu
_chemical_formula_sum 'Rb2 Fe2 Cu2'
_cell_length_a 4.742
_cell_length_b 4.884
_cell_length_c 10.487
_cell_angle_alpha 82.18
_cell_angle_beta 89.87
_cell_angle_gamma 61.38
_space_group_name_H-M_alt 'P -1'
_space_group_IT_number 2
loop_
_space_group_symop_operation_xyz
'x,y,z'
'-x,-y,-z'
loop_
_atom_site_label
_atom_site_type_symbol
_atom_site_fract_x
_atom_site_fract_y
_atom_site_fract_z
Rb1 Rb 0.196 0.112 0.217
Fe1 Fe 0.251 0.500 0.500
Cu1 Cu 0.255 0.989 0.530
# - ΔE to the lowest computed polymorph (kcal/mol of atoms) = 0.000
# - formation energy (meV/atom) = 480
# - DFT total energy (hartree per atom) = -0.148
# - spin magnetization (μB/f.u.) = 2.8



# 2
# DyZr2UP4 | Alexandria via LeMat-Bulk | GGA-PBE | relaxed
data_DyZr2UP4
_chemical_formula_sum 'Dy1 Zr2 U1 P4'
_cell_length_a 6.658
_cell_length_b 3.834
_cell_length_c 6.660
_cell_angle_alpha 90.00
_cell_angle_beta 109.19
_cell_angle_gamma 90.00
_space_group_name_H-M_alt 'P 1 2/m 1'
_space_group_IT_number 10
loop_
_space_group_symop_operation_xyz
'x,y,z'
'-x,-y,-z'
'-x,y,-z'
'x,-y,z'
loop_
_atom_site_label
_atom_site_type_symbol
_atom_site_fract_x
_atom_site_fract_y
_atom_site_fract_z
Dy1 Dy 0.000 0.000 0.000
Zr1 Zr 0.500 0.000 0.500
Zr2 Zr 0.500 0.500 0.000
U1 U 0.000 0.500 0.500
P1 P 0.260 0.000 0.751
P2 P 0.261 0.500 0.258
# - formation energy (meV/atom) = -1352
# - DFT total energy (hartree per atom) = -0.301
# - spin magnetization (μB/f.u.) = 1.8



# 3
# Mg2ZnPb | Alexandria via LeMat-Bulk | GGA-PBE | relaxed
data_Mg2ZnPb
_chemical_formula_sum 'Mg2 Zn1 Pb1'
_cell_length_a 3.371
_cell_length_b 3.371
_cell_length_c 8.098
_cell_angle_alpha 90.00
_cell_angle_beta 90.00
_cell_angle_gamma 90.00
_space_group_name_H-M_alt 'P 4 m m'
_space_group_IT_number 99
loop_
_space_group_symop_operation_xyz
'x,y,z'
'-y,x,z'
'-x,-y,z'
'y,-x,z'
'-x,y,z'
'y,x,z'
'x,-y,z'
'-y,-x,z'
loop_
_atom_site_label
_atom_site_type_symbol
_atom_site_fract_x
_atom_site_fract_y
_atom_site_fract_z
Mg1 Mg 0.000 0.000 0.000
Mg2 Mg 0.500 0.500 0.259
Zn1 Zn 0.500 0.500 0.804
Pb1 Pb 0.000 0.000 0.544
# - formation energy (meV/atom) = 23
# - DFT total energy (hartree per atom) = -0.074
# - spin magnetization (μB/f.u.) = 0.0



# 4
# La2ScMoSe | Alexandria via LeMat-Bulk | GGA-PBE | relaxed
data_La2ScMoSe
_chemical_formula_sum 'La2 Sc1 Mo1 Se1'
_cell_length_a 5.699
_cell_length_b 5.699
_cell_length_c 4.676
_cell_angle_alpha 90.00
_cell_angle_beta 90.00
_cell_angle_gamma 90.00
_space_group_name_H-M_alt 'P 4/m m m'
_space_group_IT_number 123
_space_group_name_Hall '-P 4 2'
loop_
_atom_site_label
_atom_site_type_symbol
_atom_site_fract_x
_atom_site_fract_y
_atom_site_fract_z
La1 La 0.000 0.500 0.000
Sc1 Sc 0.000 0.000 0.500
Mo1 Mo 0.500 0.500 0.500
Se1 Se 0.500 0.500 0.000
# - energy relative to the elements, uncorrected (eV per atom) = 0.020
# - DFT total energy (hartree per atom) = -0.223
# - spin magnetization (μB/f.u.) = 0.1
*/

What to do:
Next, repeat everything earlier on unchanged.

Response:
# 1
# RbFeCu | Alexandria via LeMat-Bulk | GGA-PBE | relaxed
data_RbFeCu
_chemical_formula_sum 'Rb2 Fe2 Cu2'
_cell_length_a 4.742
_cell_length_b 4.884
_cell_length_c 10.487
_cell_angle_alpha 82.18
_cell_angle_beta 89.87
_cell_angle_gamma 61.38
_space_group_name_H-M_alt 'P -1'
_space_group_IT_number 2
loop_
_space_group_symop_operation_xyz
'x,y,z'
'-x,-y,-z'
loop_
_atom_site_label
_atom_site_type_symbol
_atom_site_fract_x
_atom_site_fract_y
_atom_site_fract_z
Rb1 Rb 0.196 0.112 0.217
Fe1 Fe 0.251 0.500 0.500
Cu1 Cu 0.255 0.989 0.530
# - ΔE to the lowest computed polymorph (kcal/mol of atoms) = 0.000
# - formation energy (meV/atom) = 480
# - DFT total energy (hartree per atom) = -0.148
# - spin magnetization (μB/f.u.) = 2.8



# 2
# DyZr2UP4 | Alexandria via LeMat-Bulk | GGA-PBE | relaxed
data_DyZr2UP4
_chemical_formula_sum 'Dy1 Zr2 U1 P4'
_cell_length_a 6.658
_cell_length_b 3.834
_cell_length_c 6.660
_cell_angle_alpha 90.00
_cell_angle_beta 109.19
_cell_angle_gamma 90.00
_space_group_name_H-M_alt 'P 1 2/m 1'
_space_group_IT_number 10
loop_
_space_group_symop_operation_xyz
'x,y,z'
'-x,-y,-z'
'-x,y,-z'
'x,-y,z'
loop_
_atom_site_label
_atom_site_type_symbol
_atom_site_fract_x
_atom_site_fract_y
_atom_site_fract_z
Dy1 Dy 0.000 0.000 0.000
Zr1 Zr 0.500 0.000 0.500
Zr2 Zr 0.500 0.500 0.000
U1 U 0.000 0.500 0.500
P1 P 0.260 0.000 0.751
P2 P 0.261 0.500 0.258
# - formation energy (meV/atom) = -1352
# - DFT total energy (hartree per atom) = -0.301
# - spin magnetization (μB/f.u.) = 1.8



# 3
# Mg2ZnPb | Alexandria via LeMat-Bulk | GGA-PBE | relaxed
data_Mg2ZnPb
_chemical_formula_sum 'Mg2 Zn1 Pb1'
_cell_length_a 3.371
_cell_length_b 3.371
_cell_length_c 8.098
_cell_angle_alpha 90.00
_cell_angle_beta 90.00
_cell_angle_gamma 90.00
_space_group_name_H-M_alt 'P 4 m m'
_space_group_IT_number 99
loop_
_space_group_symop_operation_xyz
'x,y,z'
'-y,x,z'
'-x,-y,z'
'y,-x,z'
'-x,y,z'
'y,x,z'
'x,-y,z'
'-y,-x,z'
loop_
_atom_site_label
_atom_site_type_symbol
_atom_site_fract_x
_atom_site_fract_y
_atom_site_fract_z
Mg1 Mg 0.000 0.000 0.000
Mg2 Mg 0.500 0.500 0.259
Zn1 Zn 0.500 0.500 0.804
Pb1 Pb 0.000 0.000 0.544
# - formation energy (meV/atom) = 23
# - DFT total energy (hartree per atom) = -0.074
# - spin magnetization (μB/f.u.) = 0.0



# 4
# La2ScMoSe | Alexandria via LeMat-Bulk | GGA-PBE | relaxed
data_La2ScMoSe
_chemical_formula_sum 'La2 Sc1 Mo1 Se1'
_cell_length_a 5.699
_cell_length_b 5.699
_cell_length_c 4.676
_cell_angle_alpha 90.00
_cell_angle_beta 90.00
_cell_angle_gamma 90.00
_space_group_name_H-M_alt 'P 4/m m m'
_space_group_IT_number 123
_space_group_name_Hall '-P 4 2'
loop_
_atom_site_label
_atom_site_type_symbol
_atom_site_fract_x
_atom_site_fract_y
_atom_site_fract_z
La1 La 0.000 0.500 0.000
Sc1 Sc 0.000 0.000 0.500
Mo1 Mo 0.500 0.500 0.500
Se1 Se 0.500 0.500 0.000
# - energy relative to the elements, uncorrected (eV per atom) = 0.020
# - DFT total energy (hartree per atom) = -0.223
# - spin magnetization (μB/f.u.) = 0.1